**Given**
A molecular structure, C21H33NO4 in a non-equilibrium geometry. Source: the Open Molecules 2025 dataset; level of theory: ωB97M-V/def2-TZVPD.

```
59
Properties=species:S:1:pos:R:3:forces:R:3:lowdin_charge:R:1
C 1.144646 7.629038 1.263899 1.9 -6.1 1.9 -0.091
H 1.028866 8.588943 1.183393 -1.2 5.5 -0.9 0.000
C 0.103573 6.705483 0.611202 0.3 7.0 -3.1 -0.315
C 0.408518 5.336768 0.479692 -3.2 -1.7 -2.5 -0.275
C 0.518865 4.702888 1.756675 -7.5 -0.4 3.1 -0.248
C 0.450491 3.275574 1.704268 -2.8 -2.2 1.1 -0.300
C 0.310668 2.666704 3.022825 4.4 -5.0 2.2 -0.135
C 0.737492 0.972531 3.119810 -2.0 4.9 -12.3 -0.114
C -0.451343 0.280587 2.461331 -2.0 1.0 -3.7 -0.239
C -0.421101 -1.280691 2.438135 -4.0 4.7 7.0 -0.281
C 0.728557 -1.873391 2.017340 7.5 -0.8 -5.5 -0.188
H 0.817447 -2.912049 2.051544 -0.3 -1.9 0.4 0.086
H 1.854284 -1.530975 2.213206 -2.7 -0.2 1.0 0.164
C 0.884127 -1.499211 0.410805 3.1 2.6 1.4 -0.110
C -0.189797 -1.701246 -0.429112 -11.6 3.9 -5.7 -0.341
O -1.024478 -0.680616 -1.030306 4.9 -4.2 3.1 -0.132
N -0.717232 -2.934846 -0.669617 4.1 -1.5 5.5 0.119
H -0.213250 -3.625400 -0.114108 0.4 -0.2 -0.1 0.145
C -1.890823 -3.599950 -1.087142 -3.2 10.9 -0.8 -0.256
C -2.151166 -4.887733 -0.808746 5.9 -7.4 5.0 -0.452
O -1.117554 -5.524079 -0.173310 -6.1 2.0 -3.1 -0.010
O -3.307795 -5.354343 -1.217473 0.7 -4.5 1.3 0.124
H -3.286463 -6.429018 -0.996487 -0.1 3.9 -0.8 0.251
H -2.966518 -2.859498 -0.730626 3.0 -2.2 -1.0 0.292
C -1.728163 -3.295729 -2.495819 -11.7 1.2 -5.6 -0.300
O -2.443387 -2.012026 -2.985563 2.8 0.4 2.2 -0.096
H -1.924836 -1.220964 -2.566123 -1.1 -1.8 -0.4 0.076
C -0.526400 -3.506965 -3.097251 1.8 13.0 -1.1 -0.349
C -0.100692 -4.595530 -3.366731 3.2 -16.0 -2.1 -0.088
C 1.214613 -4.937207 -3.843976 0.8 -2.3 1.4 -0.044
C 2.105612 -3.931395 -4.012109 -3.7 2.7 0.2 -0.149
C 1.739577 -2.570058 -4.005603 -6.5 -0.9 1.8 0.003
C 0.280973 -2.383985 -3.566447 4.4 1.6 -0.8 0.078
H 0.003265 -1.276739 -3.622282 -0.3 -2.0 0.5 0.125
H 2.258468 -1.689282 -4.341633 0.4 -0.2 0.0 0.085
H 3.000345 -4.150668 -4.303844 5.5 -1.4 -1.5 0.034
H 1.799643 -6.015417 -3.824927 -2.5 2.5 -0.2 0.164
H -0.910203 -5.485736 -3.127712 2.4 1.7 -0.7 0.186
H -2.619782 -3.895187 -3.126179 2.5 0.4 1.6 0.216
H 1.085149 -0.318431 0.410618 -0.2 -2.8 -0.4 0.162
H 1.616092 -2.044395 -0.245259 0.7 0.4 1.4 0.157
H -0.663105 -1.397105 3.611355 0.9 -0.7 -2.1 0.167
H -1.336385 -1.581644 2.031621 -1.1 -0.9 -1.2 0.099
H -0.591033 0.652073 1.236777 0.3 -0.9 3.5 0.156
H -1.405762 0.627866 2.997242 1.1 -0.7 -0.9 0.129
H 1.563396 0.665672 2.407593 -0.1 0.9 1.4 0.117
H 0.723954 0.574672 3.941065 1.0 -3.4 9.6 -0.002
H 1.190927 2.873305 3.578328 0.7 1.5 1.1 0.085
H -0.474888 2.632068 3.707693 -2.0 0.9 0.3 0.089
H 1.365253 3.054500 1.384044 3.8 -2.1 -1.8 0.093
H -0.308282 2.747237 1.182354 -0.7 0.5 -1.8 0.112
H -0.595157 4.885238 2.410985 2.7 0.4 -1.7 0.206
H 1.175145 4.866558 2.529137 2.3 1.6 1.0 0.097
H 1.281261 5.193464 -0.053141 2.1 -0.2 -1.5 0.102
H -0.476474 4.871929 -0.258128 2.2 0.6 2.2 0.197
H -0.196625 7.245231 -0.411265 1.3 -1.4 1.3 0.151
H -0.740106 7.097030 1.063487 -2.5 -0.9 1.7 0.077
H 1.246012 7.455704 2.376781 -0.4 -0.1 -0.9 0.096
H 2.141581 7.400446 0.907713 0.4 0.0 -0.3 0.074
```
Forces are in eV/Å.

Total charge = 0
E_tot = -31976.79062 eV
HOMO = -8.8 eV
Gap between HOMO and LUMO = 8.93 eV
E_LUMO = 0.00632 Ha
Largest force on an atom = 16.4 eV/A

* * * * *

No. 1
{
  "formula": "C32H90N11O16V",
  "method": "the ωB97M-V functional and the def2-TZVPD basis",

**Job**
Could you print the whole of the entries earlier on word for word?

**Completed**
A molecular structure, C21H33NO4 in a non-equilibrium geometry. Source: the Open Molecules 2025 dataset; level of theory: ωB97M-V/def2-TZVPD.

```
59
Properties=species:S:1:pos:R:3:forces:R:3:lowdin_charge:R:1
C 1.144646 7.629038 1.263899 1.9 -6.1 1.9 -0.091
H 1.028866 8.588943 1.183393 -1.2 5.5 -0.9 0.000
C 0.103573 6.705483 0.611202 0.3 7.0 -3.1 -0.315
C 0.408518 5.336768 0.479692 -3.2 -1.7 -2.5 -0.275
C 0.518865 4.702888 1.756675 -7.5 -0.4 3.1 -0.248
C 0.450491 3.275574 1.704268 -2.8 -2.2 1.1 -0.300
C 0.310668 2.666704 3.022825 4.4 -5.0 2.2 -0.135
C 0.737492 0.972531 3.119810 -2.0 4.9 -12.3 -0.114
C -0.451343 0.280587 2.461331 -2.0 1.0 -3.7 -0.239
C -0.421101 -1.280691 2.438135 -4.0 4.7 7.0 -0.281
C 0.728557 -1.873391 2.017340 7.5 -0.8 -5.5 -0.188
H 0.817447 -2.912049 2.051544 -0.3 -1.9 0.4 0.086
H 1.854284 -1.530975 2.213206 -2.7 -0.2 1.0 0.164
C 0.884127 -1.499211 0.410805 3.1 2.6 1.4 -0.110
C -0.189797 -1.701246 -0.429112 -11.6 3.9 -5.7 -0.341
O -1.024478 -0.680616 -1.030306 4.9 -4.2 3.1 -0.132
N -0.717232 -2.934846 -0.669617 4.1 -1.5 5.5 0.119
H -0.213250 -3.625400 -0.114108 0.4 -0.2 -0.1 0.145
C -1.890823 -3.599950 -1.087142 -3.2 10.9 -0.8 -0.256
C -2.151166 -4.887733 -0.808746 5.9 -7.4 5.0 -0.452
O -1.117554 -5.524079 -0.173310 -6.1 2.0 -3.1 -0.010
O -3.307795 -5.354343 -1.217473 0.7 -4.5 1.3 0.124
H -3.286463 -6.429018 -0.996487 -0.1 3.9 -0.8 0.251
H -2.966518 -2.859498 -0.730626 3.0 -2.2 -1.0 0.292
C -1.728163 -3.295729 -2.495819 -11.7 1.2 -5.6 -0.300
O -2.443387 -2.012026 -2.985563 2.8 0.4 2.2 -0.096
H -1.924836 -1.220964 -2.566123 -1.1 -1.8 -0.4 0.076
C -0.526400 -3.506965 -3.097251 1.8 13.0 -1.1 -0.349
C -0.100692 -4.595530 -3.366731 3.2 -16.0 -2.1 -0.088
C 1.214613 -4.937207 -3.843976 0.8 -2.3 1.4 -0.044
C 2.105612 -3.931395 -4.012109 -3.7 2.7 0.2 -0.149
C 1.739577 -2.570058 -4.005603 -6.5 -0.9 1.8 0.003
C 0.280973 -2.383985 -3.566447 4.4 1.6 -0.8 0.078
H 0.003265 -1.276739 -3.622282 -0.3 -2.0 0.5 0.125
H 2.258468 -1.689282 -4.341633 0.4 -0.2 0.0 0.085
H 3.000345 -4.150668 -4.303844 5.5 -1.4 -1.5 0.034
H 1.799643 -6.015417 -3.824927 -2.5 2.5 -0.2 0.164
H -0.910203 -5.485736 -3.127712 2.4 1.7 -0.7 0.186
H -2.619782 -3.895187 -3.126179 2.5 0.4 1.6 0.216
H 1.085149 -0.318431 0.410618 -0.2 -2.8 -0.4 0.162
H 1.616092 -2.044395 -0.245259 0.7 0.4 1.4 0.157
H -0.663105 -1.397105 3.611355 0.9 -0.7 -2.1 0.167
H -1.336385 -1.581644 2.031621 -1.1 -0.9 -1.2 0.099
H -0.591033 0.652073 1.236777 0.3 -0.9 3.5 0.156
H -1.405762 0.627866 2.997242 1.1 -0.7 -0.9 0.129
H 1.563396 0.665672 2.407593 -0.1 0.9 1.4 0.117
H 0.723954 0.574672 3.941065 1.0 -3.4 9.6 -0.002
H 1.190927 2.873305 3.578328 0.7 1.5 1.1 0.085
H -0.474888 2.632068 3.707693 -2.0 0.9 0.3 0.089
H 1.365253 3.054500 1.384044 3.8 -2.1 -1.8 0.093
H -0.308282 2.747237 1.182354 -0.7 0.5 -1.8 0.112
H -0.595157 4.885238 2.410985 2.7 0.4 -1.7 0.206
H 1.175145 4.866558 2.529137 2.3 1.6 1.0 0.097
H 1.281261 5.193464 -0.053141 2.1 -0.2 -1.5 0.102
H -0.476474 4.871929 -0.258128 2.2 0.6 2.2 0.197
H -0.196625 7.245231 -0.411265 1.3 -1.4 1.3 0.151
H -0.740106 7.097030 1.063487 -2.5 -0.9 1.7 0.077
H 1.246012 7.455704 2.376781 -0.4 -0.1 -0.9 0.096
H 2.141581 7.400446 0.907713 0.4 0.0 -0.3 0.074
```
Forces are in eV/Å.

Total charge = 0
E_tot = -31976.79062 eV
HOMO = -8.8 eV
Gap between HOMO and LUMO = 8.93 eV
E_LUMO = 0.00632 Ha
Largest force on an atom = 16.4 eV/A

* * * * *

No. 1
{
  "formula": "C32H90N11O16V",
  "method": "the ωB97M-V functional and the def2-TZVPD basis",